# Work order
What is needed: repeat the lines below up to the one that holds "0.4001 1.1925", that line included.

# Excerpt
********
[1]
A 8-piece molecular cluster, C64H144N8 overall at a distorted geometry. Source: OMol25; level of theory: ωB97M-V with the def2-TZVPD basis set.

```
! RIJCOSX wB97M-V def2-TZVPD def2/J DEFGRID3
* xyz 9 2
C 0.2535 -6.0699 -0.5332
C -0.5304 -5.4190 -1.6139
C -1.6727 -6.3735 -2.1738
N -2.7072 -5.7421 -3.1364
C -3.5961 -4.7067 -2.4460
C -1.9921 -5.1775 -4.3655
C -3.1834 -5.1002 -5.4430
C -4.1124 -6.2265 -5.0577
C -3.6469 -6.7388 -3.7144
H -0.5245 -6.3851 0.1621
H 0.9093 -5.2900 -0.1464
H 0.7625 -6.9180 -0.9913
H 0.1552 -5.0621 -2.3824
H -1.0459 -4.5937 -1.1227
H -2.1706 -6.8187 -1.3125
H -1.1301 -7.1000 -2.7786
H -4.3041 -4.3347 -3.1866
H -2.9255 -3.8958 -2.1619
H -4.1570 -5.0716 -1.5855
H -1.3636 -4.2903 -4.2891
H -1.3704 -6.0005 -4.7182
H -3.6057 -4.1005 -5.5439
H -2.9617 -5.2737 -6.4960
H -5.1643 -5.9507 -4.9827
H -4.0097 -6.9681 -5.8499
H -4.3372 -7.0153 -2.9174
H -3.0970 -7.6380 -3.9920
C 2.2989 4.3618 4.2855
C 2.3078 5.8923 4.5736
C 3.3978 6.6955 3.8582
N 3.3132 8.2339 4.1299
C 2.0410 9.0016 3.7442
C 4.5787 8.9072 3.5396
C 5.4450 9.2865 4.7101
C 4.5065 9.6636 5.7630
C 3.5369 8.5088 5.6977
H 1.2979 3.9559 4.4314
H 3.0451 3.9444 4.9616
H 2.5855 4.2720 3.2377
H 2.3362 6.0833 5.6464
H 1.3537 6.3025 4.2424
H 3.1332 6.4765 2.8238
H 4.3169 6.3224 4.3101
H 1.8804 8.7977 2.6855
H 2.0763 10.0695 3.9598
H 1.2777 8.4665 4.3091
H 4.2656 9.7801 2.9667
H 5.2315 8.2949 2.9175
H 6.1277 10.1124 4.5108
H 5.9439 8.4284 5.1605
H 4.0668 10.6548 5.6517
H 4.9238 9.6402 6.7697
H 2.5607 8.6862 6.1491
H 3.9086 7.6157 6.1998
C 0.0651 -2.3420 -9.2688
C 0.3460 -2.7548 -7.7481
C 1.7342 -3.4159 -7.5848
N 2.0316 -3.9136 -6.1744
C 1.2568 -5.2202 -5.9605
C 1.5902 -2.8925 -5.0729
C 2.6828 -3.0314 -4.0154
C 3.8907 -3.1052 -4.9286
C 3.5064 -4.2368 -5.9862
H 0.0977 -3.1277 -10.0235
H 0.8743 -1.6853 -9.5882
H -0.8635 -1.7717 -9.2442
H -0.4306 -3.4243 -7.3782
H 0.3201 -1.9230 -7.0442
H 2.4965 -2.6713 -7.8138
H 2.0039 -4.2635 -8.2148
H 1.6794 -5.9847 -6.6125
H 0.2031 -5.0635 -6.1914
H 1.5786 -5.5579 -4.9754
H 0.5101 -2.9373 -4.9334
H 1.6522 -1.9334 -5.5871
H 2.5198 -3.8841 -3.3563
H 2.6312 -2.1303 -3.4042
H 4.7566 -3.4946 -4.3931
H 4.1443 -2.1998 -5.4800
H 3.6472 -5.1619 -5.4273
H 4.1222 -4.5234 -6.8387
C -5.3449 0.1925 6.3673
C -4.7217 -0.9268 5.5431
C -5.6184 -1.3933 4.3647
N -5.0844 -2.5937 3.5652
C -4.6295 -3.7194 4.5245
C -6.1900 -3.1364 2.5893
C -5.4195 -3.4766 1.2919
C -4.4370 -2.3764 1.1904
C -3.8906 -2.0960 2.6165
H -5.7107 1.0294 5.7724
H -4.7520 0.6978 7.1297
H -6.2714 -0.1798 6.8044
H -4.5269 -1.7143 6.2711
H -3.7607 -0.5977 5.1478
H -5.7612 -0.6163 3.6137
H -6.6253 -1.6944 4.6537
H -4.7921 -4.6307 3.9490
H -5.1525 -3.6773 5.4800
H -3.5689 -3.5257 4.6844
H -6.7677 -3.9286 3.0655
H -6.8334 -2.3347 2.2266
H -4.9038 -4.4361 1.3314
H -6.0150 -3.5480 0.3817
H -3.6430 -2.6931 0.5141
H -4.8424 -1.4348 0.8202
H -2.9997 -2.6981 2.7950
H -3.6741 -1.0539 2.8516
C 1.3482 3.4443 -0.5533
C 2.1148 2.2619 0.1207
C 1.3471 0.9540 0.4069
N 0.8439 0.1909 -0.9004
C 1.9202 0.2643 -1.9686
C -0.4240 0.8656 -1.5139
C -1.5320 -0.0499 -1.0775
C -0.8872 -1.4790 -1.1083
C 0.3588 -1.2189 -0.4699
H 0.3737 3.4833 -0.0665
H 1.1467 3.1418 -1.5809
H 2.0294 4.2907 -0.4653
H 2.6400 2.6632 0.9874
H 2.9565 1.9904 -0.5165
H 0.4001 1.1925 0.8909
H 2.0135 0.3240 0.9960
H 2.0343 1.3220 -2.2062
H 1.7244 -0.2987 -2.8812
H 2.8453 -0.1283 -1.5466
H -0.4329 0.9190 -2.6025
H -0.6560 1.9139 -1.3260
H -2.4129 0.0903 -1.7040
H -1.7410 0.1981 -0.0369
H -0.7137 -1.6722 -2.1669
H -1.4229 -2.2724 -0.5873
H 1.1299 -1.9479 -0.7191
H 0.2417 -1.1167 0.6089
C 3.9044 0.9725 4.0771
C 2.9478 -0.0411 4.6761
C 2.4700 -1.0625 3.6414
N 2.2503 -2.5497 4.1301
C 3.6044 -3.2282 4.1870
C 1.3873 -2.6190 5.4023
C -0.0030 -3.0471 4.8962
C -0.0802 -2.9296 3.4153
C 1.3532 -3.1850 3.0041
H 3.4565 1.6617 3.3612
H 4.7512 0.6098 3.4944
H 4.4702 1.4512 4.8764
H 2.0001 0.4139 4.9642
H 3.4093 -0.5341 5.5317
H 3.1401 -1.2635 2.8056
H 1.5329 -0.6368 3.2826
H 4.0527 -3.0923 3.2028
H 3.6282 -4.2918 4.4241
H 4.1971 -2.5727 4.8251
********

# Response
[1]
A 8-piece molecular cluster, C64H144N8 overall at a distorted geometry. Source: OMol25; level of theory: ωB97M-V with the def2-TZVPD basis set.

```
! RIJCOSX wB97M-V def2-TZVPD def2/J DEFGRID3
* xyz 9 2
C 0.2535 -6.0699 -0.5332
C -0.5304 -5.4190 -1.6139
C -1.6727 -6.3735 -2.1738
N -2.7072 -5.7421 -3.1364
C -3.5961 -4.7067 -2.4460
C -1.9921 -5.1775 -4.3655
C -3.1834 -5.1002 -5.4430
C -4.1124 -6.2265 -5.0577
C -3.6469 -6.7388 -3.7144
H -0.5245 -6.3851 0.1621
H 0.9093 -5.2900 -0.1464
H 0.7625 -6.9180 -0.9913
H 0.1552 -5.0621 -2.3824
H -1.0459 -4.5937 -1.1227
H -2.1706 -6.8187 -1.3125
H -1.1301 -7.1000 -2.7786
H -4.3041 -4.3347 -3.1866
H -2.9255 -3.8958 -2.1619
H -4.1570 -5.0716 -1.5855
H -1.3636 -4.2903 -4.2891
H -1.3704 -6.0005 -4.7182
H -3.6057 -4.1005 -5.5439
H -2.9617 -5.2737 -6.4960
H -5.1643 -5.9507 -4.9827
H -4.0097 -6.9681 -5.8499
H -4.3372 -7.0153 -2.9174
H -3.0970 -7.6380 -3.9920
C 2.2989 4.3618 4.2855
C 2.3078 5.8923 4.5736
C 3.3978 6.6955 3.8582
N 3.3132 8.2339 4.1299
C 2.0410 9.0016 3.7442
C 4.5787 8.9072 3.5396
C 5.4450 9.2865 4.7101
C 4.5065 9.6636 5.7630
C 3.5369 8.5088 5.6977
H 1.2979 3.9559 4.4314
H 3.0451 3.9444 4.9616
H 2.5855 4.2720 3.2377
H 2.3362 6.0833 5.6464
H 1.3537 6.3025 4.2424
H 3.1332 6.4765 2.8238
H 4.3169 6.3224 4.3101
H 1.8804 8.7977 2.6855
H 2.0763 10.0695 3.9598
H 1.2777 8.4665 4.3091
H 4.2656 9.7801 2.9667
H 5.2315 8.2949 2.9175
H 6.1277 10.1124 4.5108
H 5.9439 8.4284 5.1605
H 4.0668 10.6548 5.6517
H 4.9238 9.6402 6.7697
H 2.5607 8.6862 6.1491
H 3.9086 7.6157 6.1998
C 0.0651 -2.3420 -9.2688
C 0.3460 -2.7548 -7.7481
C 1.7342 -3.4159 -7.5848
N 2.0316 -3.9136 -6.1744
C 1.2568 -5.2202 -5.9605
C 1.5902 -2.8925 -5.0729
C 2.6828 -3.0314 -4.0154
C 3.8907 -3.1052 -4.9286
C 3.5064 -4.2368 -5.9862
H 0.0977 -3.1277 -10.0235
H 0.8743 -1.6853 -9.5882
H -0.8635 -1.7717 -9.2442
H -0.4306 -3.4243 -7.3782
H 0.3201 -1.9230 -7.0442
H 2.4965 -2.6713 -7.8138
H 2.0039 -4.2635 -8.2148
H 1.6794 -5.9847 -6.6125
H 0.2031 -5.0635 -6.1914
H 1.5786 -5.5579 -4.9754
H 0.5101 -2.9373 -4.9334
H 1.6522 -1.9334 -5.5871
H 2.5198 -3.8841 -3.3563
H 2.6312 -2.1303 -3.4042
H 4.7566 -3.4946 -4.3931
H 4.1443 -2.1998 -5.4800
H 3.6472 -5.1619 -5.4273
H 4.1222 -4.5234 -6.8387
C -5.3449 0.1925 6.3673
C -4.7217 -0.9268 5.5431
C -5.6184 -1.3933 4.3647
N -5.0844 -2.5937 3.5652
C -4.6295 -3.7194 4.5245
C -6.1900 -3.1364 2.5893
C -5.4195 -3.4766 1.2919
C -4.4370 -2.3764 1.1904
C -3.8906 -2.0960 2.6165
H -5.7107 1.0294 5.7724
H -4.7520 0.6978 7.1297
H -6.2714 -0.1798 6.8044
H -4.5269 -1.7143 6.2711
H -3.7607 -0.5977 5.1478
H -5.7612 -0.6163 3.6137
H -6.6253 -1.6944 4.6537
H -4.7921 -4.6307 3.9490
H -5.1525 -3.6773 5.4800
H -3.5689 -3.5257 4.6844
H -6.7677 -3.9286 3.0655
H -6.8334 -2.3347 2.2266
H -4.9038 -4.4361 1.3314
H -6.0150 -3.5480 0.3817
H -3.6430 -2.6931 0.5141
H -4.8424 -1.4348 0.8202
H -2.9997 -2.6981 2.7950
H -3.6741 -1.0539 2.8516
C 1.3482 3.4443 -0.5533
C 2.1148 2.2619 0.1207
C 1.3471 0.9540 0.4069
N 0.8439 0.1909 -0.9004
C 1.9202 0.2643 -1.9686
C -0.4240 0.8656 -1.5139
C -1.5320 -0.0499 -1.0775
C -0.8872 -1.4790 -1.1083
C 0.3588 -1.2189 -0.4699
H 0.3737 3.4833 -0.0665
H 1.1467 3.1418 -1.5809
H 2.0294 4.2907 -0.4653
H 2.6400 2.6632 0.9874
H 2.9565 1.9904 -0.5165
H 0.4001 1.1925 0.8909